Get at me
A said a hip, hop.
A burst of prose, freestyle verb, that looks like a poem.
Indentation paradoxically clear. You do not care for rhyme or
structure. “But what about rhythm?” you ask, and I
reply, “How about grammar,” and then a long pause.
But apparently time weighs gravity so forgot about
commas, and think about karma.
Love of the Deep
They say
That if
You stay
In the deep
Too long
You'll never
And you'll drown
So if the mind
Is as an ocean
Should we not
Dive into its depths?
(Next to the piece, the page also holds calculated crystals)
- - -
Here is a geometry-optimized La2IrAu structure from Alexandria. Energies are from PBE.

Properties
magnetic moment	0.00	μB/f.u.
calculated formation energy	-690	meV per atom
volume	24.94	Å³/atom
SG	P4/mmm (123)
VASP energy	-6.19	eV/atom

Lattice parameters (Å, degrees): 8.2140 5.1789 3.7195 90.03 63.04 129.07
Last column: nearest neighbours and their distance in Å.
Fractional positions:
1 Ir 0.5000 0.5000 0.0000  8 La 3.19
2 La 0.0000 0.0000 0.0000  4 Au 3.19, 4 Ir 3.19
3 La 0.5000 0.0000 0.5000  4 Ir 3.19, 4 Au 3.19
4 Au 0.0000 0.5000 0.5000  8 La 3.19

=====

[1]
Here is crystalline Ti3HgOs at its relaxed geometry from Alexandria via LeMat-Bulk. Energies are from GGA-PBEsol.

Values from the calculation:
For the energy of formation from the pure elements, the calculation gives 1739 meV per atom. Its energy above the most stable polymorph in this dataset is 1.3024 eV per atom. As for the total magnetization: 0.000 μB per formula unit. The density of states at the Fermi level is 7.79 states/eV/cell.

a = 4.756 Å, b = 4.756 Å, c = 4.756 Å
α = 90.00°, β = 90.00°, γ = 90.00°
Fractional positions:
Ti: 0.000 0.000 0.500
Ti: 0.000 0.500 0.000
Ti: 0.500 0.000 0.000
Hg: 0.000 0.000 0.000
Os: 0.500 0.500 0.500

=====

[2]
Here is crystalline RuW2Br at its relaxed geometry from Alexandria via LeMat-Bulk. Energies are from GGA-PBEsol.

Values from the calculation:
The uncorrected formation energy comes out at 272 kJ/mol of formula units. Its energy above the most stable polymorph in this dataset is 0.1921 eV per atom. As for the total magnetization: 0.001 μB per formula unit. The density of states at the Fermi level is 3.78 states/eV/cell.

a = 2.851 Å, b = 2.851 Å, c = 8.773 Å
α = 90.00°, β = 90.00°, γ = 113.69°
Fractional positions:
Ru: 0.000 0.000 0.000
W: 0.000 0.000 0.530
W: 0.500 0.500 0.772
Br: 0.500 0.500 0.267

=====

[3]
Here is crystalline B2HI2 at its relaxed geometry from Alexandria via LeMat-Bulk. Energies are from GGA-PBEsol.

Values from the calculation:
For the total energy, the calculation gives -3.15 eV/atom. As for the total magnetization: 0.758 μB per formula unit. The density of states at the Fermi level is 1.74 states/eV/cell.

a = 7.726 Å, b = 7.726 Å, c = 3.437 Å
α = 90.00°, β = 90.00°, γ = 90.00°
Fractional positions:
B: 0.071 0.429 0.000
B: 0.429 0.929 0.000
B: 0.571 0.071 0.000
B: 0.929 0.571 0.000
H: 0.000 0.000 0.500
H: 0.500 0.500 0.500
I: 0.196 0.304 0.500
I: 0.304 0.804 0.500
I: 0.696 0.196 0.500
I: 0.804 0.696 0.500

=====

[4]
Here is crystalline Na2TaPd2 at its relaxed geometry from Alexandria via LeMat-Bulk. Energies are from GGA-PBEsol.

Values from the calculation:
For the energy of formation from the pure elements, the calculation gives 850 meV per atom. As for the total magnetization: 0.003 μB per formula unit. The density of states at the Fermi level is 3.96 states/eV/cell.

a = 5.160 Å, b = 5.160 Å, c = 5.160 Å
α = 126.62°, β = 126.62°, γ = 78.87°
Fractional positions:
Na: 0.127 0.127 0.000
Na: 0.873 0.873 0.000
- - -
(So much for the calculated crystals)
I think
I forget
To breathe
When I look deeply
At my self
And I stay there
For an eternity
Before I am dredged up
From the bejeweled depths
Once more
And I
In trailing
As bubbles
And bubbles
Of thoughts
My neck
And choke me
Like my future should be
But no
Like they say
It's love of the deep
Once you go down
You never want
To return
To the surface
And the oxygen leaves
But that's fine
Could spend
Within the depths
Of my mind
January has grown too big to share our twin-sized bed.
She is poised, coiled like a snake. Always ready to pounce.
This month was war-torn, and there is still more bloodshed
to come. She spins her finger through candle wax, says, this
whole world is falling apart, and I’m the only one holding
it together. This is a heavy burden, and yet she keeps
her spine straight. I try to take notes. Force my back rigid,
release the tension, pretend the flames dancing on my palm
won’t set fire to my body. As if I wasn’t born with my bones
dipped in gasoline. I ask her what to do when the ghosts
won’t stay dead. She looks at me like I'm the child, like less
than thirty days ago she didn't fit in the palm of my hand.
Says, kick them out of bed, change the locks, pretend
you don’t recognize their face until it becomes true.
Tits, Boobs, Jugs, Knockers, Air Bags, Comfy Pillows
I am a woman that is for sure
Though no oil painting any more
I have big breasts which men seem to like
But I find them annoying so hard to run or ride a bike
In Summer they get hot and underneath they smell of cheese
Sometimes after dinner in my cleavage I find fallen peas
They are heavy and cause pain in my back
It feels like I am carrying a huge potato sack
Now I always have to wear a push up bra
As now they sag much much too far
Soon I think they will tuck in to my socks
Maybe quite handy but so unorthodox
When I was young I was so often teased
Obviously I wasn´t happy or very pleased
My Christian name is Melloney you see
So at school I was called Melons CONSTANTLY!
© M.Withers/M.Strudwick . All rights reserved.
Both the name The EriduSerpent/EriduSerpent
and any written material is owned solely by the above named.
Permission granted for all written material to be shared but not for profit.
The Keeper of the Moon
She held the moon in her hands,
The fragile, glowing moon.
She held the moon in her hands,
She sang it's mystic tune.
She held the moon in her hands,
Prepared it for its flight.
She held the moon in her hands,
Bade it rise in the night.
She held the moon in her hands,
When it came down at day.
She held the moon in her hands,
The moon, pale and grey.
-Faeli Kathryn
Pale Blue Sheets
Please stay with me as we lie in my pale blue sheets.
I'm a scared little girl inside a strong woman in armor made of ice that melts when no one sees,
but that doesn't cure the frostbite in my chest that has lost all feeling.
Black, like the stains on my pillowcase from the lies that conquer my truths.
I can't explain why I would rather be alone with you than just alone.
You break me then call me stable.
Don’t Rush Me
Sweet poison raining
Inside me
I've forgotten who I'm supposed to
Feeling tingly
Ready to be me
My body is way too clingy
Because the poison has
Doused me
My perception isn't obstructed
Tonight I'm not pulling hair
My body is way too tense
Someone's absence
While my body yells out
I am quick to forget
I'm ready to climax
And no I haven't yet